static void Main(string[] args) { var ticTacToeBoard = new string[3, 3]; IPlayer player1; IPlayer player2; var gameEngine = new GameEngine(); var gameVisualizer = new GameVisualizer(); var gameManager = new GameManager(gameVisualizer, gameEngine); gameVisualizer.printInstructions(); // Loops until the player has chosen an option while (true) { Console.WriteLine("Choose playing mode - 2PLAYER or AI?"); var mode = Console.ReadLine().ToUpper(); if (mode.Equals("2PLAYER")) { player1 = new RealPlayer(); player2 = new RealPlayer(); break; } else if (mode.Equals("AI")) { player1 = new RealPlayer(); player2 = new AIPlayer(); break; } Console.WriteLine(); Console.WriteLine("That is not a valid option"); } gameManager.PlayGame(ticTacToeBoard, player1, player2); }
+++
# 1
This record from Alexandria via LeMat-Bulk describes crystalline Ag4Pt at its relaxed geometry. The functional is GGA-PBEsol.

The calculation puts the volume at 161 Å³ per cell. Its density of states at the Fermi level is 1.67 states/eV/f.u. The space group is C2/m (12). For the polymorph energy (0 for the lowest one), the calculation gives 0.016 eV per atom.

a = 9.402 Å, b = 2.828 Å, c = 6.963 Å
α = 90.00°, β = 119.42°, γ = 90.00°
Positions (direct):
Ag 0.097 0.000 0.394
Ag 0.203 0.500 0.801
Ag 0.297 0.000 0.199
Ag 0.403 0.500 0.606
Ag 0.597 0.500 0.394
Ag 0.703 0.000 0.801
Ag 0.797 0.500 0.199
Ag 0.903 0.000 0.606
Pt 0.000 0.500 0.000
Pt 0.500 0.000 0.000

# 2
This record from Alexandria via LeMat-Bulk describes crystalline Ag5Pt7 at its relaxed geometry. The functional is GGA-PBEsol.

The calculation puts the volume at 186 Å³ per cell. Its density of states at the Fermi level is 12.39 states/eV/f.u. The space group is C2/m (12). For the polymorph energy (0 for the lowest one), the calculation gives 0.055 eV per atom.

a = 4.865 Å, b = 4.865 Å, c = 9.252 Å
α = 95.37°, β = 95.37°, γ = 120.19°
Positions (direct):
Ag 0.000 0.000 0.000
Ag 0.167 0.833 0.500
Ag 0.236 0.236 0.750
Ag 0.764 0.764 0.250
Ag 0.833 0.167 0.500
Pt 0.104 0.434 0.249
Pt 0.329 0.671 0.000
Pt 0.434 0.104 0.249
Pt 0.500 0.500 0.500
Pt 0.566 0.896 0.751
Pt 0.671 0.329 0.000
Pt 0.896 0.566 0.751

# 3
This record from Alexandria via LeMat-Bulk describes crystalline Ag4Pt5 at its relaxed geometry. The functional is GGA-PBEsol.

The calculation puts the volume at 139 Å³ per cell. Its density of states at the Fermi level is 6.56 states/eV/f.u. The space group is I4/mmm (139). For the polymorph energy (0 for the lowest one), the calculation gives 0.008 eV per atom.

a = 6.290 Å, b = 6.290 Å, c = 6.290 Å
α = 95.52°, β = 95.52°, γ = 143.87°
Positions (direct):
Ag 0.000 0.332 0.332
Ag 0.000 0.668 0.668
Ag 0.332 0.000 0.332
Ag 0.668 0.000 0.668
Pt 0.000 0.000 0.000
Pt 0.334 0.334 0.668
Pt 0.334 0.666 0.000
Pt 0.666 0.334 0.000
Pt 0.666 0.666 0.332


# BaVTeO6 (GGA+U, optimized geometry)
# space group	P-31c (163)
# E_tot	-6.616	eV/atom
# N(E_F)	0.000	states/eV/cell
data_BaVTeO6
_cell_length_a 5.281
_cell_length_b 5.281
_cell_length_c 11.587
_cell_angle_alpha 90.00
_cell_angle_beta 90.00
_cell_angle_gamma 120.00
_symmetry_space_group_name_H-M 'P 1'
_symmetry_Int_Tables_number 1
loop_
_symmetry_equiv_pos_as_xyz
'x,y,z'
loop_
_atom_site_label
_atom_site_fract_x
_atom_site_fract_y
_atom_site_fract_z
Ba1 0.000 0.000 0.000
Ba2 0.000 0.000 0.500
V1 0.667 0.333 0.250
V2 0.333 0.667 0.750
Te1 0.333 0.667 0.250
Te2 0.667 0.333 0.750
O1 0.603 0.604 0.154
O2 0.001 0.397 0.154
O3 0.397 0.002 0.654
O4 0.999 0.603 0.846
O5 0.396 0.397 0.346
O6 0.001 0.604 0.346
O7 0.604 0.002 0.846
O8 0.603 0.998 0.346
O9 0.999 0.396 0.654
O10 0.396 0.998 0.154
O11 0.604 0.603 0.654
O12 0.397 0.396 0.846


# 1
Material: Li4MgZn
Method: DFT, PBE
State: relaxed
+++
(So much for the calculated crystals)
[STAThread] //STA-Single Threaded Apartment, refers to the threading model used by the current main thread. static void Main(string[] args) { string[,] TicTacToeBoard = new string[3, 3]; // Use an interface to encourage polymorphism - ability of an object to take on many forms IPlayer player1; IPlayer player2; VictoryValidator gameEngine = new VictoryValidator(); GameVisualizer gameVisualizer = new GameVisualizer(); // Inject dependencies GameManager gameManager = new GameManager(gameVisualizer, gameEngine); //GameWindow gameWindow = new GameWindow(); //gameWindow.ShowDialog(); while (true) { Console.WriteLine("Choose playing mode - 2 Players or Computer(AI)?"); var mode = Console.ReadLine().ToUpper(); // Polymorphism - Two objects are of the same type, but they can be interchangable and defined by the user if (mode.Equals("2 PLAYERS")) { player1 = new RealPlayer(); player2 = new RealPlayer(); break; } else if (mode.Equals("AI")) { player1 = new RealPlayer(); player2 = new AIPlayer(); break; } } //Play game just plays game, not about who the players are, so its better to pass in the players to play the game. gameManager.PlayGame(TicTacToeBoard, player1, player2); }
-- Inserted here: crystal structures --
/*
# TlV2Hg2O7 | Alexandria via LeMat-Bulk | PBE+U | optimized geometry
# magnetic moment: 0.0 μB per cell
# total energy: -5.551 eV/atom
data_TlV2Hg2O7
_chemical_formula_sum 'Tl3 V6 Hg6 O21'
_cell_length_a 5.7180
_cell_length_b 5.7180
_cell_length_c 22.9091
_cell_angle_alpha 90.00
_cell_angle_beta 90.00
_cell_angle_gamma 120.00
_space_group_name_H-M_alt 'R 3 2'
_space_group_IT_number 155
_space_group_name_Hall 'R 3 2"'
loop_
_atom_site_label
_atom_site_type_symbol
_atom_site_fract_x
_atom_site_fract_y
_atom_site_fract_z
_atom_site_occupancy
Tl1 Tl 0.0000 0.0000 0.0000 1
V1 V 0.0000 0.0000 0.4197 1
Hg1 Hg 0.0000 0.0000 0.1612 1
O1 O 0.0000 0.0000 0.5000 1
O2 O 0.0118 0.4464 0.2707 1

~~~~~

# 1
Ac8GeSe6 | Alexandria | PBE | relaxed; total energy = -5.2453 eV/atom; raw formation energy = -1.3525 eV per atom
1.0
-1.216 1.532 -4.051
3.180 -9.904 -4.699
-10.700 1.371 3.730
Ac Ge Se
8 1 6
Direct
0.743 0.963 0.281 Ac
0.743 0.719 0.682 Ac
0.743 0.318 0.037 Ac
0.257 0.037 0.719 Ac
0.257 0.281 0.318 Ac
0.257 0.682 0.963 Ac
0.750 0.333 0.667 Ac
0.250 0.667 0.333 Ac
0.500 0.000 0.000 Ge
0.751 0.642 0.129 Se
0.751 0.871 0.513 Se
0.751 0.487 0.358 Se
0.249 0.358 0.871 Se
0.249 0.129 0.487 Se
0.249 0.513 0.642 Se

# 2
YBe2 | Alexandria | PBE | relaxed; ΔH_f (0 K) = 1.058 eV/atom; total energy = -3.5813 eV/atom
1.0
6.245 0.000 0.000
0.000 6.245 0.000
0.000 0.000 6.245
Y Be
4 8
Direct
0.000 0.000 0.000 Y
0.500 0.500 0.000 Y
0.500 0.000 0.500 Y
0.000 0.500 0.500 Y
0.591 0.591 0.409 Be
0.409 0.409 0.591 Be
0.091 0.909 0.591 Be
0.909 0.091 0.409 Be
0.409 0.091 0.091 Be
0.591 0.909 0.909 Be
0.909 0.409 0.909 Be
0.091 0.591 0.091 Be

# 3
LaDyAs2Pd2 | Alexandria | PBE | relaxed; ΔH_f (0 K) = -1.215 eV/atom; total energy = -6.0841 eV/atom
1.0
-1.376 -1.293 3.957
-1.412 -2.072 -3.597
5.945 -4.875 0.475
La Dy As Pd
1 1 2 2
Direct
0.000 0.000 0.000 La
0.000 0.000 0.500 Dy
0.667 0.333 0.745 As
0.333 0.667 0.255 As
0.667 0.333 0.275 Pd
0.333 0.667 0.725 Pd

# 4
ZrIn2SiSe | Alexandria | PBE | relaxed; total energy = -3.9859 eV/atom; raw formation energy = 0.6006 eV per atom
1.0
5.059 0.000 0.000
0.000 4.992 0.000
0.000 0.000 5.059
Si Se Zr In
1 1 1 2
Direct
0.000 0.000 0.000 Si
0.000 0.500 0.000 Se
0.500 0.500 0.500 Zr
0.000 0.000 0.500 In
0.500 0.000 0.000 In

# 5
ZrCuSiP | Alexandria | PBE | relaxed; total energy = -6.5880 eV/atom; raw formation energy = -0.7187 eV per atom
1.0
-0.563 0.615 -3.496
3.443 -0.766 -0.689
-2.289 -9.167 -1.245
P Si Cu Zr
2 2 2 2
Direct
0.750 0.750 0.329 P
0.250 0.250 0.671 P
0.250 0.750 0.000 Si
0.750 0.250 0.000 Si
0.750 0.250 0.500 Cu
0.250 0.750 0.500 Cu
0.750 0.750 0.771 Zr
0.250 0.250 0.229 Zr

# 6
K3YPd | Alexandria | PBE | relaxed; excess energy over the best structure of this formula in the dataset = 0 meV/atom; ΔH_f (0 K) = 0.595 eV/atom; total energy = -2.3950 eV/atom
1.0
-0.152 5.144 3.451
-5.646 1.305 -2.192
-2.547 -3.199 4.655
Y K Pd
1 3 1
Direct
0.500 0.500 0.500 Y
0.000 0.500 0.000 K
0.000 0.000 0.500 K
0.500 0.000 0.000 K
*/
static void Main(string[] args) { string[,] TicTacToeBoard = new string[3, 3]; // Use an interface to encourage polymorphism - ability of an object to take on many forms IPlayer player1; IPlayer player2; VictoryValidator gameEngine = new VictoryValidator(); GameVisualizer gameVisualizer = new GameVisualizer(); // Inject dependencies GameManager gameManager = new GameManager(gameVisualizer, gameEngine); //GameWindow gameWindow = new GameWindow(); //gameWindow.ShowDialog(); while (true) { Console.WriteLine("Choose playing mode - 2 Players or Computer(AI)?"); var mode = Console.ReadLine().ToUpper(); // Polymorphism - Two objects are of the same type, but they can be interchangable and defined by the user if (mode.Equals("2 PLAYERS")) { player1 = new RealPlayer(); player2 = new RealPlayer(); break; } else if (mode.Equals("AI")) { player1 = new RealPlayer(); player2 = new AIPlayer(); break; } } //Play game just plays game, not about who the players are, so its better to pass in the players to play the game. gameManager.PlayGame(TicTacToeBoard, player1, player2); }
Below is a relaxed structure of LiMn2InO4, with properties calculated at the GGA+U level.

Output
The value obtained for the total magnetic moment is 10.000 Bohr magnetons per cell. Its space group is I-42m, No. 121. The calculation puts the density of states at the Fermi level at 0.6 states/eV/cell. The uncorrected energy is -6.55 eV per atom.

Cell lengths 4.7878, 4.7878, 5.9200 Å; angles 113.85, 113.85, 90.00 degrees
Each line ends with the local moment (μB).
Fractional positions:
Li1 0.5000 0.5000 0.0001  0.01
Mn1 0.7500 0.2500 0.5001  4.59
Mn2 0.2500 0.7500 0.5001  4.59
In1 0.0000 0.0000 0.0001  0.03
static void Main(string[] args) { char playOrNot = ' '; Board plansza = new Board(); Console.Write("Enter the first player nick: "); string nick1 = Console.ReadLine(); Console.Write("Enter the secound player nick: "); string nick2 = Console.ReadLine(); RealPlayer gracz1 = new RealPlayer(nick1, plansza); RealPlayer gracz2 = new RealPlayer(nick2, plansza); while (playOrNot != 'n') { playOrNot = ' '; Console.Clear(); Random rand = new Random((int)DateTime.Now.Ticks); int los = rand.Next(2) + 1; plansza.InitializeBoard(); gracz1.ShowScore(); gracz2.ShowScore(); Console.WriteLine(); if (los == 1) { Console.WriteLine(gracz1.Nick + " starts a game!"); gracz1.SignChoose(); if (gracz1.Sign == 'O') { gracz2.Sign = 'X'; } if (gracz1.Sign == 'X') { gracz2.Sign = 'O'; } } else { Console.WriteLine(gracz2.Nick + " starts a game!"); gracz2.SignChoose(); if (gracz2.Sign == 'O') { gracz1.Sign = 'X'; } if (gracz2.Sign == 'X') { gracz1.Sign = 'O'; } } Console.Clear(); if (los == 1) { while (true) { plansza.PrintBoard(); while (gracz1.IfAdded != true) { gracz1.Move(); } gracz1.IfAdded = false; gracz1.CheckIfWin(); gracz2.CheckIfWin(); Console.Clear(); if (gracz1.IfWon == true || gracz2.IfWon == true || plansza.IfFull() == true) { break; } plansza.PrintBoard(); while (gracz2.IfAdded != true) { gracz2.Move(); } gracz2.IfAdded = false; gracz1.CheckIfWin(); gracz2.CheckIfWin(); Console.Clear(); if (gracz1.IfWon == true || gracz2.IfWon == true || plansza.IfFull() == true) { break; } } } if (los == 2) { while (plansza.IfFull() != true) { plansza.PrintBoard(); while (gracz2.IfAdded != true) { gracz2.Move(); } gracz2.IfAdded = false; gracz1.CheckIfWin(); gracz2.CheckIfWin(); Console.Clear(); if (gracz1.IfWon == true || gracz2.IfWon == true || plansza.IfFull() == true) { break; } plansza.PrintBoard(); while (gracz1.IfAdded != true) { gracz1.Move(); } gracz1.IfAdded = false; gracz1.CheckIfWin(); gracz2.CheckIfWin(); Console.Clear(); if (gracz1.IfWon == true || gracz2.IfWon == true || plansza.IfFull() == true) { break; } } } if (gracz1.IfWon == true) { Console.WriteLine("Player: " + gracz1.Nick + "( " + gracz1.Sign + " )" + " is a winner!"); gracz1.ScoreIncrement(); } else if (gracz2.IfWon == true) { Console.WriteLine("Player: " + gracz2.Nick + "( " + gracz2.Sign + " )" + " is a winner!"); gracz2.ScoreIncrement(); } else { Console.WriteLine("It's a draw!"); } plansza.PrintBoard(); gracz1.RemoveSign(); gracz2.RemoveSign(); Console.WriteLine("Do you want to play again?"); while (playOrNot != 'y' & playOrNot != 'n') { Console.WriteLine("Press y on your keyboard if you want playe again or press n if you want to exit."); playOrNot = Console.ReadKey().KeyChar; } //Console.ReadKey(); } }